I shrugged. “I think it might.”

“Jesus, Blake, just report him to the higher-ups. They’ll tell him to back off.”

“You were a cop, right?”


“How many women did you see that died with a court order of ‘leave me the fuck alone’ in their purses?”

Crystal structures, kept here for reference:
Record 1
DFT (PBE+U) results for MgFe6O10F2 after structural relaxation.

Output
As for the space group: P1, No. 1. Its crystal system is triclinic. As for the offset from the most stable computed form: 73 meV per atom.

Cell lengths 5.1144, 5.1663, 8.9146 Å; angles 90.03, 90.03, 102.32 degrees
Element x y z (fractional)
Mg1 0.0000 0.0000 0.0000
Fe1 0.4827 0.9005 0.9988
Fe2 0.5023 0.9151 0.3399
Fe3 0.5027 0.9147 0.6580
Fe4 0.9001 0.4988 0.1734
Fe5 0.9004 0.4989 0.8249
Fe6 0.9208 0.5075 0.4992
O1 0.1315 0.6571 0.9993
O2 0.1602 0.6403 0.6734
O3 0.1596 0.6410 0.3251
O4 0.3354 0.0605 0.4991
O5 0.6800 0.7514 0.4988
O6 0.6880 0.7837 0.1596
O7 0.6879 0.7837 0.8383
O8 0.7549 0.2669 0.6679
O9 0.7561 0.2663 0.3302
O10 0.7709 0.2572 0.9991
F1 0.2896 0.0995 0.8483
F2 0.2909 0.0994 0.1507

Record 2
DFT (PBE+U) results for MgFe6O10F2 after structural relaxation.

Output
As for the space group: P1, No. 1. Its crystal system is triclinic. As for the offset from the most stable computed form: 50 meV per atom.

Cell lengths 5.0851, 5.1239, 8.7364 Å; angles 90.01, 90.04, 100.54 degrees
Element x y z (fractional)
Mg1 0.0000 0.0000 0.0000
Fe1 0.0909 0.4996 0.1754
Fe2 0.0944 0.4980 0.8138
Fe3 0.5167 0.0976 0.0013
Fe4 0.5239 0.0588 0.6591
Fe5 0.5319 0.0493 0.3251
Fe6 0.9446 0.6330 0.4943
O1 0.2134 0.7501 0.3323
O2 0.2200 0.7464 0.6595
O3 0.2283 0.7313 0.9905
O4 0.2966 0.2133 0.1576
O5 0.3158 0.2119 0.8327
O6 0.6972 0.9200 0.1480
O7 0.7030 0.8908 0.4971
O8 0.8147 0.3831 0.3278
O9 0.8226 0.3773 0.6633
O10 0.8623 0.3500 0.9871
F1 0.3497 0.2229 0.4934
F2 0.7197 0.8993 0.8330

Record 3
DFT (PBE+U) results for MgFe6O10F2 after structural relaxation.

Output
As for the space group: P1, No. 1. Its crystal system is triclinic. As for the offset from the most stable computed form: 28 meV per atom.

Cell lengths 5.1224, 5.6967, 7.5895 Å; angles 81.44, 87.37, 85.34 degrees
Element x y z (fractional)
Mg1 0.0000 0.0000 0.0000
Fe1 0.0079 0.6141 0.8090
Fe2 0.4664 0.1126 0.8059
Fe3 0.5296 0.8740 0.1914
Fe4 0.5359 0.5246 0.5194
Fe5 0.9629 0.3678 0.1867
Fe6 0.9895 0.9896 0.5049
O1 0.1574 0.9447 0.7507
O2 0.3240 0.4475 0.7288
O3 0.3240 0.8116 0.4091
O4 0.3251 0.1281 0.0687
O5 0.6728 0.5554 0.2765
O6 0.6795 0.8551 0.9501
O7 0.6863 0.2026 0.5922
O8 0.8104 0.7045 0.5999
O9 0.8422 0.0401 0.2578
O10 0.8678 0.3478 0.9475
F1 0.1562 0.6550 0.0736
F2 0.1659 0.3006 0.4053

Record 4
DFT (PBE+U) results for MgFe6O7F5 after structural relaxation.

Output
As for the space group: P1, No. 1. Its crystal system is triclinic. As for the offset from the most stable computed form: 14 meV per atom.

Cell lengths 5.7760, 5.9808, 7.7610 Å; angles 106.86, 97.45, 113.53 degrees
Element x y z (fractional)
Mg1 0.0000 0.0000 0.0000
Fe1 0.3014 0.5305 0.3431
Fe2 0.3520 0.8994 0.7772
Fe3 0.6212 0.0485 0.1946
Fe4 0.6846 0.5088 0.6462
Fe5 0.9616 0.0553 0.5207
Fe6 0.9789 0.4754 0.9676
O1 0.0130 0.1706 0.2826
O2 0.2615 0.8467 0.0102
O3 0.4138 0.6348 0.6122
O4 0.5831 0.8327 0.3353
O5 0.7094 0.1268 0.9631

Newman went back to looking at the steering wheel. “More than I want to remember.” There was so much emotion in that one sentence that I could tell it had ghosts attached to it: all the people he couldn’t save. That’s the hardest lesson as a cop: You can’t save everyone.

“I’ve decided that I’m a big grown-up marshal, and I’ll handle Otto without going through channels.”

“You let Forrester help you,” Newman said, and looked at me again, the anger in his eyes still raw.

I almost asked, Who couldn’t you save? Whose death are you remembering and blaming yourself for? But I didn’t. You learn early on not to ask certain questions.

“Ted is my mentor. I’m your mentor. I’m not letting my apprentice take this one for the team. It’s tricky enough without me having to worry about you, Newman. I want to make sure that you and that fiancée of yours get to the altar.”

“Are you saying that Jeffries would kill me?”

“Are you saying he wouldn’t?”

“He’s dangerous, yes, but I think he’d rape before he’d kill.”

I had to fight to keep my face blank, because Newman was closer to the truth than I wanted him to be. “Well, you know the saying ‘pillage first, burn second.’”

“Don’t make a joke, Blake.”

“I don’t know what else to do, Newman. You offered help. I’ve refused it. If you keep helping me, then you’re taking my agency away. You’re in effect telling me that I am a helpless victim that needs you to rescue me, and that is not true.”

“If Jeffries were into men, hell, Blake, I might take your help to rescue my ass.”

The phrasing made me want to laugh, but I fought the urge off. “I appreciate you admitting that, Newman, but I’m a woman, and I had to get used to dealing with shit like this around puberty.”

“That is a sad fucking statement, Blake.”

“It’s a sad fucking truth. Now, unless you want to explain to Jeffries where we’ve been all this time, you need to start the car and get us moving to meet up.”

He started the car but didn’t put it in gear. “I don’t like this, Blake.”

“I don’t like it either, but we have a crime to solve and a life to save. We’ll worry about the other shit later.”

Newman put the car in gear. “Fine. What next on the crime solving?”

“I think it’s time to talk to the only other person that was in the house when the murder occurred.”

“You mean Jocelyn Marchand?” He started out of the parking lot and onto the only road through town.


“There had to be more than just her and Bobby in the hous

e with Ray, because the footprints don’t belong to any of them,” Newman said.

“Okay, let’s go question the only other person who we know was in the house when the murder occurred.”

Crystal structures, as found in the file
********
[1]
## Na10ScNb7Si12O48 (PBE)

Data for a relaxed structure of Na10ScNb7Si12O48.

Properties
Volume = 13.8 Å³ per atom
Total moment = 0.0 Bohr magnetons per cell
Formation enthalpy at 0 K = -3.013 eV per atom

Cell: 9.084 15.710 22.595 Å, 90.00 90.00 90.01°
Sites, in units of the cell vectors:
Na 0.000 0.000 0.000
Na 0.001 0.674 0.664
Na 0.005 0.038 0.662
Na 0.018 0.374 0.000
Na 0.127 0.875 0.500
Na 0.138 0.536 0.162
Na 0.139 0.506 0.498
Na 0.181 0.856 0.163
Na 0.316 0.029 0.082
Na 0.322 0.357 0.912
Na 0.323 0.357 0.415
Na 0.325 0.034 0.581
Na 0.329 0.684 0.750
Na 0.333 0.690 0.250
Na 0.450 0.196 0.001
Na 0.462 0.858 0.663
Na 0.500 0.500 0.999
Na 0.507 0.207 0.330
Na 0.518 0.874 0.000
Na 0.639 0.035 0.163
Na 0.644 0.001 0.501
Na 0.683 0.357 0.163
Na 0.698 0.695 0.500
Na 0.810 0.513 0.583
Na 0.816 0.195 0.748
Na 0.816 0.529 0.082
Na 0.823 0.856 0.913
Na 0.823 0.857 0.414
Na 0.842 0.188 0.249
Na 0.950 0.696 0.001
Sc 0.323 0.356 0.061
Sc 0.822 0.856 0.061
Sc 0.822 0.857 0.561
Nb 0.317 0.359 0.268
Nb 0.319 0.024 0.228
Nb 0.321 0.025 0.435
Nb 0.321 0.690 0.889
Nb 0.322 0.357 0.770
Nb 0.322 0.689 0.390
Nb 0.323 0.023 0.932
Nb 0.325 0.353 0.559
Nb 0.325 0.687 0.602
Nb 0.326 0.027 0.728
Nb 0.326 0.690 0.102
Nb 0.819 0.519 0.726
Nb 0.820 0.520 0.435
Nb 0.821 0.193 0.603
Nb 0.821 0.526 0.229
Nb 0.822 0.856 0.769
Nb 0.823 0.190 0.889
Nb 0.823 0.523 0.932
Nb 0.823 0.856 0.269
Nb 0.826 0.190 0.102
Nb 0.826 0.191 0.392
Si 0.031 0.356 0.162
Si 0.032 0.023 0.829
Si 0.034 0.689 0.496
Si 0.110 0.189 0.995
Si 0.112 0.523 0.331
Si 0.113 0.857 0.662
Si 0.175 0.169 0.330
Si 0.177 0.213 0.665
Si 0.177 0.498 0.663
Si 0.177 0.547 0.996
Si 0.177 0.878 0.331
Si 0.179 0.834 0.996
Si 0.465 0.211 0.163
Si 0.465 0.834 0.497
Si 0.467 0.171 0.832
Si 0.467 0.545 0.496
Si 0.468 0.878 0.829
Si 0.470 0.502 0.162
Si 0.532 0.523 0.830
Si 0.534 0.856 0.163
Si 0.536 0.191 0.496
Si 0.608 0.357 0.664
Si 0.610 0.689 0.995
Si 0.614 0.021 0.331
Si 0.676 0.378 0.329
Si 0.677 0.047 0.996
Si 0.678 0.003 0.662
Si 0.679 0.669 0.333
Si 0.679 0.711 0.662
Si 0.680 0.334 0.996
Si 0.965 0.711 0.162
Si 0.966 0.668 0.828
Si 0.967 0.334 0.497
Si 0.968 0.001 0.162
Si 0.968 0.047 0.498
Si 0.970 0.378 0.830
O 0.000 0.174 0.054
O 0.000 0.201 0.939
O 0.002 0.845 0.998
O 0.007 0.511 0.390
O 0.008 0.533 0.272
O 0.021 0.878 0.603
O 0.124 0.378 0.103
O 0.137 0.035 0.771
O 0.139 0.674 0.556
O 0.140 0.012 0.888
O 0.144 0.344 0.219
O 0.145 0.677 0.836
O 0.146 0.348 0.501
O 0.147 0.011 0.173
O 0.147 0.371 0.825
O 0.147 0.700 0.440
O 0.148 0.037 0.491
O 0.148 0.702 0.159
O 0.206 0.606 0.057
O 0.209 0.101 0.992
O 0.211 0.443 0.602
O 0.213 0.109 0.273
O 0.214 0.272 0.722
O 0.214 0.273 0.999
O 0.214 0.938 0.389
O 0.215 0.437 0.325
O 0.215 0.608 0.335
O 0.216 0.770 0.659
O 0.219 0.773 0.940
O 0.223 0.940 0.672
O 0.247 0.116 0.669
O 0.248 0.925 0.272
O 0.249 0.261 0.606
O 0.250 0.453 0.999
O 0.250 0.595 0.657
O 0.251 0.452 0.720
O 0.251 0.597 0.941
O 0.253 0.121 0.387
O 0.253 0.790 0.056
O 0.254 0.785 0.337
********

“We could just go do that?” he said.